Obama Apparently Giving Up On Quixotic Bid For ‘Middle East Peace’

President Obama has apparently come to the same realization as many of his predecessors, that trying to craft a legacy by single-handedly bring about "Middle East Peace" is largely a waste of time.


Like pretty much very President since Richard Nixon, and possibly going back even earlier than that, Barack Obama has made the discovery that trying to enhance his legacy with a breakthrough in the Middle East, specifically a resolution of some kind in the conflict between Israel and the Palestinians, is an exercise in futility:

President Obama has concluded that a peace deal between Israel and the Palestinians is beyond reach during his presidency and will press Israeli Prime Minister Benjamin Netanyahu to take steps to preserve the mere possibility of a two-state solution, senior administration officials said Thursday.

The issue has taken on greater importance with the recent wave of stabbings carried out by Palestinians against Israelis, senior administration members said during a conference call with reporters about Netanyahu’s visit next week.

'''
Here is the molecule C3H6Cl2O3S from the Open Molecules 2025 dataset. Energies are from ωB97M-V/def2-TZVPD.

Geometry as XYZ:
```
15
Properties=species:S:1:pos:R:3
O -1.03008 -0.22382 -1.63440
S -1.03921 0.40953 -0.37655
O -0.82555 1.86896 -0.31839
C -2.50886 -0.06471 0.49800
Cl -3.88155 -0.29664 -0.51491
O 0.00473 -0.29929 0.64197
C 1.28788 -0.75328 -0.01452
C 2.26411 0.42992 0.04592
Cl 3.80446 -0.07620 -0.57855
H -2.42194 -0.93101 1.03528
H -2.57136 0.95173 1.19576
H 0.93021 -1.10985 -0.86964
H 1.65715 -1.85832 0.47664
H 1.81517 1.20937 -0.81207
H 2.51482 0.74361 1.22548
```

* Kohn-Sham gap: 11.51 eV
* energy relative to the best compared isomer or geometry (same formula, charge and spin): 100.93 kJ/mol
* structure (SMILES): O=S(=O)(CCl)OCCCl


Here is a cluster of 7 separate species, C37H70ClF6IN3O9 in total from the Open Molecules 2025 dataset. Energies are from ωB97M-V/def2-TZVPD.

Geometry as XYZ:
```
127
Properties=species:S:1:pos:R:3
C 4.10023 -1.28617 3.06973
C 3.82963 -0.56967 1.98991
C 3.69759 0.18855 0.57665
N 5.04019 0.20064 -0.09324
Cl 6.14039 1.43121 0.46037
C 5.44478 -0.66393 -1.05511
N 6.73112 -0.71612 -1.70901
C 7.90463 -1.06852 -0.87973
C 8.84824 -2.15391 -1.68143
C 9.80364 -2.85231 -0.54810
F 10.33457 -1.83323 0.38279
C 6.96005 0.12795 -2.89148
C 6.38021 1.62614 -2.89734
C 5.92098 2.00833 -4.43326
I 7.92460 3.13162 -2.36627
N 4.41781 -1.71840 -1.40938
C 4.77749 -3.04845 -0.80876
O 4.06037 -3.31299 0.42510
C 2.70368 -3.78005 0.17736
C 1.58619 -2.60736 0.14477
O 0.20709 -3.13874 0.12418
C -0.74481 -2.07787 -0.16141
C -1.87082 -1.85872 0.98343
O -2.24939 -0.43770 1.13122
C -2.79315 0.08105 -0.11542
C -3.72483 1.41058 0.09385
C 4.18188 -1.77962 -2.87237
F 3.97529 -0.45993 -3.47988
F 5.26512 -2.51999 -3.54294
C 2.83002 -2.61676 -3.25746
C 2.79529 -4.18490 -3.46714
C 1.52145 -5.03379 -3.84938
C 0.16557 -4.25982 -4.08260
C 0.19248 -2.68588 -3.90105
C -1.20058 -1.90452 -4.18497
F -1.04204 -0.47055 -4.04325
F -1.47391 -2.11148 -5.60897
F -2.31331 -2.43664 -3.45591
C 1.45724 -1.83588 -3.48291
H 4.51620 -1.76645 4.03358
H 2.82710 -0.16858 -0.08011
H 3.46106 1.30225 0.84110
H 8.62042 -0.19157 -0.61777
H 7.53809 -1.64214 0.06566
H 9.55044 -1.59244 -2.42573
H 8.21277 -2.94805 -2.24786
H 10.68183 -3.44214 -1.00188
H 9.17096 -3.56181 0.12330
H 6.57006 -0.38768 -3.86613
H 8.11384 0.21413 -3.05709
H 5.45305 1.81755 -2.24907
H 5.46131 1.09386 -4.98098
H 5.03854 2.76247 -4.30969
H 6.74566 2.54354 -5.02596
H 4.70617 -3.94269 -1.52617
H 5.90392 -2.97302 -0.50391
H 2.68558 -4.47905 -0.73862
H 2.42213 -4.45319 1.09050
H 1.68479 -1.89081 -0.75007
H 1.65616 -2.01584 1.15149
H -0.27398 -1.04727 -0.36913
H -1.32473 -2.36726 -1.13244
H -2.87032 -2.42418 0.76060
H -1.46174 -2.17821 2.02419
H -3.45033 -0.68390 -0.69588
H -1.89730 0.44054 -0.77566
H -4.42362 1.58866 -0.82586
H -4.43822 1.31135 1.01200
H -3.11059 2.37708 0.21452
H 3.78786 -4.77058 -3.32495
H 1.59747 -6.17708 -3.96282
H -0.78663 -4.85245 -4.39146
H 1.45319 -0.69578 -3.33365
'''

They said that the administration has become “realistic” that there might not even be negotiations between Israeli and Palestinian officials before Obama leaves office. In September, Palestinian Authority President Mahmoud Abbas said his government would no longer consider itself bound by the Oslo peace agreements in effect for two decades, charging that Israel had failed to live up to its obligations.

Rob Malley, the National Security Council’s senior director for the Middle East, said that for the first time in two decades, an American administration “faces the reality” that a solution to the Israeli-Palestinian conflict “is not in the cards for the remainder” of a presidency. That, he said, has “led to a reassessment not only of what we can do but of what the parties can do.”

Ben Rhodes, deputy national security adviser, said, “From the prime minister, we’ll want to hear what his views are for how the Israeli government can take steps” to build confidence and “to make clear that there is an aspiration” for a two-state solution, which Rhodes said was the only way forward.

What those steps might be wasn’t clear, though Rhodes and Malley said that the expansion of West Bank settlements remained an issue. Malley said the president would ask “how does the prime minister see things going forward” and hear his ideas of “what can be done in the absence of negotiations.”

Sources close to the U.S. and Israeli governments, who spoke on the condition of anonymity to protect their relationships, said that Secretary of State John F. Kerry is particularly worried about the expansion of settlements and the possibility of what one source called “creeping annexation.”

Middle East experts said other steps might include measures to improve economic conditions and ease movement through checkpoints.

The tension between Israel and the Palestinian Authority will be just one of the items on the agenda when Obama and Netanyahu meet. They will also discuss the next 10-year memorandum of understanding on military cooperation between the United States and Israel; the chaotic situation in Syria; how to counter Iranian threats to Israel, either from Syria or through Hezbollah in Lebanon and Hamas in Gaza; and the implementation of the Iran nuclear deal that Obama championed and Netanyahu ardently opposed.

To some degree, I suppose, one should give the President credit for coming to this realization before he and his Secretary of State ended up spending time and energy fourteen months trying to bring about something that clearly doesn’t seem likely to happen. Previous American Presidents and their Secretaries of State have taken upon themselves the task of bringing about “peace” in the Middle East, often with great fanfare. In some cases, obviously, they were overestimating their ability to accomplish the seemingly impossible. Most of all, though, it was clear that these Presidents were looking for an avenue by which to establish a Presidential legacy at a time when they’ve basically entered lame duck status at home and their ability accomplish anything domestically was being overshadowed by their lame duck status and the fact that most of Washington, and many Americans, were looking beyond the incumbent and concentrating on the race to determine who the next President will be. It is, I suppose, an understandable course of action. The conflict between Israel and the Palestinians has been at the center of the various conflicts in the Middle East for the better part of nearly seventy years now, and it must be quite tempting for any President who believes that the problem could be solved if only they could be the ones to get both sides talking.

That isn’t to say that there haven’t been some successes when American Presidents have gotten involved in the Middle East peace process, of course. The most notable examples of that can be found in the Camp David Accords between Egypt and Israel during President Carter’s time in office and the Oslo Accords between Israel and the Palestinian Liberation Organization during President Clinton’s time in office. The interesting thing about both of those cases, though, is that they occurred relatively early in the terms of the American Presidents involved. The Camp David Accords occurred in the second year of Carter’s term, for example, and the initial agreements in the Oslo Accord were signed in Washington in the second year of President Clinton’s first term. Thanks largely to the Iran Hostage Crisis, President Carter never really pursued additional efforts at Middle East Peace after Camp David. President Clinton was slightly more successful with a memorandum that came out of talks in 1998, but these were largely a continuation of the Oslo process begun five years earlier. When Clinton tried to push the process further in 2000, it proved to be utterly unsuceessfully. Similarly, an effort by the first Bush Administration and the Soviet Union to bring the parties together in Madrid in 1991 in the wake of the Persian Gulf War proved to be largely unsuccessful. The efforts of other Americans Presidents proved to be even more forlorn in that they didn’t even result in the scheduling of talks between the parties. Ultimately, of course, all of these efforts proved to be unsuccessful in that they failed to reach their real goal, the creation of some sort of comprehensive final resolution of the issues between Israel, the Palestinians, and the rest of the Arab world that resolves issues that the parties have been fighting about in one form or another since the founding of the State of Israel in 1948.

There’s one thing that differentiates the successful efforts made the American Presidents from those that have failed, of course, and that is the fact that the parties involved were willing to talk to each other to begin with or had already begun the process of talking before the United States became involved. Most famously, Anwar Sadat and Menachim Begin were talking and meeting long before President Carter brought them to Camp David to hammer out a final agreement. Similarly, Yitzhak Rabin was at least willing to talk to Yassir Arafat and other PLO representatives during the run-up to the Oslo Accords, and Arafat had seemingly finally come to the realization that pursuing a strategy of terrorism was doomed to fail. Without those elements in place, any effort by any American President to bring about that elusive “Middle East Peace” is going to fail.

This is, in the end, the problem President Obama faces, because for differing reasons neither side in the Israeli-Palestinian conflict trusts each other enough to take the next step in the peace process. From the Israeli point of view, the fact that Hamas continues to control Gaza under a putative agreement with the Palestinian Authority is an issue due to that organizations refusal to even acknowledge that Israel has a right to exist, and it’s efforts to attack innocent Israelis, something most recently manifested in last year’s murders and rocket attacks that led to a conflict that lasted more than a month. Now, Israelis are dealing with a rash of knife attacks by Palestinians, mostly from the West Bank, against Israeli civilians that have resulted in death and injury, a problem that the Palestinian Authority seems unwilling to do anything about. The Palestinians contend that Israel’s efforts to expand settlements in the West Bank and around Jerusalem are making any talks impossible and have instead tried to pursue efforts to gain independent recognition of their “independence,” even though any such recognition would be meaningless without an agreement with Israel. Add into all of this the ongoing war in Syria, which has brought Hezbollah into the mix, and the idea that President Obama and Secretary of State Kerry were going to be able to bring about some mythical peace agreement was really kind of silly to begin with. At the very least, I suppose, it’s good that the White House has recognized the futility of their efforts before wasting too much time, and the credibility and prestige of the United States, on a process that was doomed to fail anyway.

FILED UNDER: Middle East, Terrorism, US Politics, , , , , , , , , , , , , , , , , , , , , , , , , ,
Doug Mataconis
About Doug Mataconis
Doug Mataconis held a B.A. in Political Science from Rutgers University and J.D. from George Mason University School of Law. He joined the staff of OTB in May 2010 and contributed a staggering 16,483 posts before his retirement in January 2020. He passed far too young in July 2021.


  1. Barfour says:

    This is a situation in which you can’t take the horse, or horses, to the river, let alone make them drink. Maybe I’m being too pessimistic but I don’t think peace between Israel and the Palestinians will ever happen. And if it happens, it will be decades from now.

  2. MarkedMan says:

    All the sides in this decades long tragedy have trafficked in their own versions of reality. Palestinians, Israelis, Lebanese, etc al base their calculations on a shared “knowledge” of the regional history that is basically opportunistic lies. Without an effort to move the common people beyond these ethnic fantasies, there is no hope of acceptance for any settlement. And even if leadership had the will that is a generational effort. Jimmy Carter was right a decade ago when he said Israel was marching down the path of apartheid. And the Palestinian leaders have long given up the betterment of their peoples situation in favor of promoting victimhood in order to hang onto power.

  3. stonetools says:

    “Eight hundred years from now, long after people have forgotten there was such a thing as the United States of America, Israelis and Palestinians will be fighting each other with spears, knives, sticks, and stones. ”

    That’s the set up for Michael’s next dystopian novel.
    Or a reasonably realistic prediction of the future Middle East.

  4. grumpy realist says:

    “Everyone in the Mideast is nuts.” (fellow physicist, Christian-Arab background, born in Bethlehem, emigrated to US)

    “There must be something in the Mideast that renders men insane.” A.J.P. Taylor, noted historian.

    I figure that anyone who worried more about their kids’ lives than their own has already left the place. So what we’re left with are the sort of people who can carry a grudge for 2000 years.

    Too bad we can’t just build a big wall around the place and just let it be.

  5. Ron Beasley says:

    @grumpy realist: I agree. These various tribes have been fighting each other for over 2,000 years. We should quit giving them money and arms and let them fight it out.

  6. Ron Beasley says:

    @grumpy realist: I agree. These various tribes have been fighting each other for over 2,000 years. We should quit giving them money and arms and let them fight it out.

  7. Lounsbury says:

    @Ron Beasley:
    Actually this is ahistorical nonsense, a faux wisdom based on a gross lack of knowledge of actual -rather the mythologized – history.

    Excluding the Crusades and the Mongol invasions, the various Pax Islamicas in the specific neighbourhood – and perhaps more specfically and recently the Pax Ottomana – the region was rather more stable and peaceful than Europe with little intra-inhabitant warfare.

    It’s complete ignorant rubbish (and ironically rather racist in the broad sense) to blither on about Those Tribes fighting each other for 2k years.

    And commentators like to make snide comments about the locals various invented histories…

    The current and modern problem is modern, not some atavistic ancient challenge.

  8. Tyrell says:

    This is interesting : “Iran Demonstrators Burn US Flags and President Obama In Effigy !! ” They were also displaying signs that said “Death to America”. If my memory is working correctly, it seems like a while back the President signed some agreement with the Iranian leaders that they promise to not make any nuclear weapons. After what I saw and heard on the news (NBC), the Pres needs to take that agreement straight to the shredder. And he should demand an apology, just to keep things interesting.

  9. Gustopher says:

    Has foreign intervention ever brought peace?

    I think we need to scale back our objectives a bit. We should intervene to prevent genocide, we should intervene when one party is becoming a thorn in our side, and we should throw up our hands in nearly every other case.

    ISIS, al Quaeda, and any government that supports them are a thorn in our side. Hit them hard.

    Beyond that? We should prefer secular governments that protect minority rights to nonsecular, stability to chaos, democracy to dictatorships, and be willing to drop our preference for the third if it rules out the other two.

    Assad is less worse than ISIS or a long running civil war. And, given that there is a refugee crisis now, and there really wasn’t when Assad held power, it’s pretty clear that the people of Syria agree.

    It might be nice to tie our support for Israel to democratic reforms — but we shouldn’t care if they want a two state solution or to welcome the Palestinians into their society as equal partners with equal rights… The Israelis are doing a poor job of protecting the Palestinians in their care, and we should call hem on it.

  10. Andre Kenji says:

    Frankly, I don´t see how Israel can be a Jewish State and widely Democratic(Meaning, a Egalitarian and Secular society) at the same time.

  11. stonetools says:


    I hope you are right about this, Lounsbury. Would be interested to hear some of your ideas about how to fix what seem to be intractable problems there. Frankly, it does seem like the whole region is making all the mistakes Europe has made in last 400 years-all at once . Unfortunately, it looks like your country had a hand in creating the mess back around 1917-20-although they had plenty of help.

  12. stonetools says:


    I hope you are right about this, Lounsbury. Would be interested to hear some of your ideas about how to fix what seem to be intractable problems there. Frankly, it does seem like the whole region is making all the mistakes Europe has made in last 400 years-all at once . Unfortunately, it looks like your country had a hand in creating the mess back around 1917-20-although they had plenty of help.

  13. dazedandconfused says:

    @grumpy realist:

    It’s not an insanity limited to the ME. Limited resources and high population does that to nearly everybody everywhere and had done so since the first batch of monkeys figured out that if they banded together they could have the best, maybe only, fruit trees.

    “Which ever flag we pick, it’s just a self deluding trick.” -or something like that- damn skippy! We tribe up around something, anything will do, and get on with it.

    More to the point the current Israeli government has decided to annex the West Bank and we are, for the moment, done pretending otherwise and/or actively and covertly support it. Also, if the Izzies are going appoint publicity guys who openly call a US president anti-semetic we are being asked to butt out anyway.

<<<
136
Properties=species:S:1:pos:R:3 method="wB97M-V/def2-TZVPD" fmax_ev_per_a=1.4 gap_ev=7.4 e_above_lowest_ev=0.674 total_energy_ev=-166181.449
Y -0.121 -0.047 0.682
C 1.706 0.432 -3.832
C 2.718 0.475 -2.687
C 4.086 0.927 -3.185
P 1.837 1.322 -1.249
C 3.092 2.037 -0.038
C 3.947 3.221 -0.477
C 3.941 0.906 0.535
C 1.119 2.854 -1.954
C 1.836 3.672 -2.821
C 1.282 4.832 -3.325
C 0.019 5.217 -2.914
C -0.699 4.408 -2.052
C -0.189 3.196 -1.593
Si -1.322 1.988 -0.598
C -2.539 1.290 -1.932
C -2.864 2.042 -3.056
C -3.797 1.614 -3.981
C -4.452 0.411 -3.789
C -4.133 -0.365 -2.692
C -3.170 0.051 -1.772
P -2.687 -1.050 -0.383
C -4.386 -1.474 0.285
C -5.031 -0.170 0.748
C -4.284 -2.441 1.459
C -2.054 -2.577 -1.283
C -1.104 -2.090 -2.378
C -3.060 -3.579 -1.838
C -2.436 3.201 0.388
C -3.647 3.652 -0.124
C -4.407 4.593 0.544
C -3.963 5.099 1.752
C -2.778 4.637 2.295
C -2.008 3.690 1.628
P -0.449 2.986 2.306
C 0.676 4.497 2.441
C 1.861 4.094 3.317
C 0.106 5.850 2.856
C -0.955 2.483 4.055
C -1.378 3.455 5.152
C -2.058 1.442 3.854
H 1.992 -0.313 -4.572
H 0.713 0.178 -3.456
H 1.641 1.402 -4.324
H 2.833 -0.545 -2.290
H 4.042 1.889 -3.689
H 4.812 0.982 -2.380
H 4.449 0.198 -3.910
H 2.420 2.383 0.765
H 4.603 2.968 -1.305
H 3.329 4.069 -0.765
H 4.575 3.532 0.359
H 4.653 0.535 -0.199
H 4.497 1.255 1.404
H 3.294 0.087 0.844
H 2.835 3.398 -3.112
H 1.841 5.438 -4.023
H -0.408 6.141 -3.275
H -1.680 4.730 -1.729
H -2.373 2.991 -3.209
H -4.022 2.221 -4.845
H -5.202 0.076 -4.492
H -4.645 -1.305 -2.560
H -4.985 -1.918 -0.516
H -4.382 0.331 1.468
H -5.209 0.512 -0.081
H -5.983 -0.379 1.233
H -3.887 -1.923 2.329
H -5.271 -2.820 1.713
H -3.633 -3.284 1.236
H -1.452 -3.086 -0.514
H -1.649 -1.584 -3.176
H -0.366 -1.393 -1.964
H -0.567 -2.931 -2.809
H -3.600 -3.183 -2.695
H -2.518 -4.465 -2.169
H -3.777 -3.888 -1.082
H -3.999 3.259 -1.066
H -5.337 4.938 0.120
H -4.541 5.849 2.274
H -2.459 5.026 3.246
H 1.030 4.599 1.402
H 1.578 4.097 4.368
H 2.196 3.091 3.057
H 2.692 4.785 3.182
H -0.255 5.837 3.882
H 0.898 6.598 2.792
H -0.702 6.159 2.195
H -0.048 1.963 4.395
H -2.362 3.872 4.949
H -1.444 2.895 6.087
H -0.662 4.261 5.286
H -3.027 1.916 3.700
H -1.837 0.848 2.963
H -2.129 0.781 4.717
Cl 0.818 -2.522 7.660
C 0.897 -1.733 6.129
C -0.049 -2.033 5.162
C -0.010 -1.353 3.963
Cl -1.215 -1.669 2.760
C 0.965 -0.379 3.635
O 0.966 0.274 2.521
C 1.925 -0.162 4.656
Cl 3.193 0.965 4.345
C 1.897 -0.806 5.875
H -0.803 -2.780 5.346
H 2.651 -0.576 6.613
Cl 0.912 -4.782 -3.764
C 0.727 -6.242 -2.847
C 0.049 -7.295 -3.439
C -0.189 -8.458 -2.729
C 0.219 -8.555 -1.408
C 0.898 -7.502 -0.830
Cl 1.392 -7.629 0.831
C 1.218 -6.326 -1.534
N 1.910 -5.323 -0.901
C 2.969 -4.578 -1.405
C 3.618 -4.955 -2.580
C 4.658 -4.205 -3.090
C 5.086 -3.076 -2.415
C 4.489 -2.730 -1.216
C 3.447 -3.475 -0.682
C 2.852 -3.093 0.644
C 1.504 -2.392 0.430
O 0.434 -2.912 0.761
O 1.553 -1.243 -0.104
H -0.304 -7.186 -4.454
H -0.709 -9.278 -3.195
H 0.021 -9.446 -0.831
H 1.829 -5.345 0.107
H 3.315 -5.863 -3.078
H 5.138 -4.513 -4.008
>>>

  14. Jenos Idanian says:

    There’s an old aphorism in journalism — “if your mother says she loves you, check it.”

    Can anyone cite any examples that demonstrate that the Palestinians are actually interested in peace? In coexistence with Israel?

  15. bill says:

    “mid-east peace”, what a joke. hate to sound jaded but it’s been a political football for nearly 50 yrs.
    all the money/lives wasted just aren’t worth it- let Israel be, they can take care of themselves and anyone who messes with them.